Mass Spectrometry Center for Innovative Technology at Vanderbilt University

The Center for Innovative Technology (CIT) at Vanderbilt University

A state-of-the-art small molecule omics shared resource center and collaborative analytical facility specializing in a range of mass spectrometry and confocal screening techniques.

The CIT focuses on metabolomics and lipidomics analyses using a range of mass spectrometry instrumentation and provides the infrastructure and expertise to measure both untargeted (discovery) and targeted (validation, quantification) small molecules.  The Center places an emphasis on the use and development of numerous separation technologies coupled to MS including hydrophobic/hydrophilic liquid chromatography (RPLC and HILIC) and ion mobility-mass spectrometry (IM-MS). As a result, the CIT houses an array of cutting-edge instrumentation and technologies that are supported by current state-of-the-art informatics and data analysis software.

_Records of crystals, kept here for reference_
┌──
KRbAl2I8 | PBE | optimized geometry

Properties
**Size of the total moment**: 0.00 μB/cell
**Theoretical density**: 3.41 Mg/m³
**E**: -2.807 eV/atom
**ΔE_f (raw)**: -978 meV per atom

a = 7.788 Å, b = 7.788 Å, c = 11.947 Å
α = 70.98°, β = 70.98°, γ = 60.00°
Positions (direct):
I: 0.166 0.166 0.500
I: 0.318 0.934 0.195
I: 0.682 0.066 0.805
I: 0.934 0.554 0.195
I: 0.066 0.446 0.805
I: 0.554 0.318 0.195
I: 0.834 0.834 0.500
I: 0.446 0.682 0.805
K: 0.000 0.000 0.000
Rb: 0.500 0.500 0.500
Al: 0.757 0.757 0.730
Al: 0.243 0.243 0.270

* * * * *

Here is a relaxed structure of PrSm6Y from the Alexandria database. Energies are from PBE-GGA.

Output
DOS(E_F) in states/eV per atom: 1.65
Distance to the lowest polymorph of the same formula in eV per atom: 0.000
Calculated formation energy in meV/atom: 19
Mass density in g/cm3: 6.94
E_tot in eV per cell: -39.41

abc: 5.139 5.139 10.263
angles: 90.00 90.00 90.00
Atoms (fractional coordinates):
Pr 0.000 0.000 0.000
Sm 0.000 0.500 0.252
Sm 0.000 0.500 0.748
Sm 0.500 0.000 0.252
Sm 0.500 0.000 0.748
Sm 0.500 0.500 0.000
Sm 0.500 0.500 0.500
Y 0.000 0.000 0.500

* * * * *

{"formula": "TeMoN2O", "functional": "PBE with a Hubbard U", "state": "relaxed", "lattice": [[4.075, 0.000, 0.000], [0.000, 4.075, 0.000], [0.000, 0.000, 4.138]], "species": ["Te", "Mo", "N", "N", "O"], "frac_coords": [[0.000, 0.000, 0.000], [0.500, 0.500, 0.000], [0.000, 0.500, 0.500], [0.500, 0.000, 0.500], [0.000, 0.000, 0.500]], "energy_ev_per_atom": -4.519}

* * * * *

Compound: BaLiAg2
Source: Alexandria via LeMat-Bulk
Functional: PBE-GGA
Structure: optimized geometry

a = 4.871 Å, b = 7.612 Å, c = 7.134 Å
α = 122.24°, β = 90.00°, γ = 90.00°
Positions (direct):
Ba 0.250 0.846 0.692
Ba 0.750 0.154 0.308
Ag 0.250 0.766 0.147
Ag 0.250 0.381 0.147
Ag 0.750 0.619 0.853
Li 0.750 0.611 0.221
Ag 0.750 0.234 0.853
Li 0.250 0.389 0.779

Results
Energy relative to the elements: -193 meV per atom
SG: No. 63
E: -10.31 eV per formula unit
Magnetization: 0.00 μB/atom

Compound: Ce2ScAs4Rh3
Source: Alexandria via LeMat-Bulk
Functional: PBE-GGA
Structure: optimized geometry

a = 4.314 Å, b = 4.314 Å, c = 10.426 Å
α = 90.00°, β = 90.00°, γ = 90.00°
Positions (direct):
Ce 0.500 0.000 0.229
Ce 0.000 0.500 0.771
Rh 0.000 0.000 0.500
Rh 0.000 0.500 0.113
Rh 0.500 0.000 0.887
As 0.500 0.000 0.650
As 0.000 0.000 0.000
As 0.500 0.500 0.000
Sc 0.500 0.500 0.500
As 0.000 0.500 0.350

Results
Energy relative to the elements: -986 meV per atom
SG: No. 115
E: -68.71 eV per formula unit
Magnetization: 0.10 μB/atom

Compound: Sr3Al4Zn2
Source: Alexandria via LeMat-Bulk
Functional: PBE-GGA
Structure: optimized geometry

a = 4.661 Å, b = 6.182 Å, c = 9.090 Å
α = 104.11°, β = 90.00°, γ = 112.14°
Positions (direct):
Al 0.728 0.455 0.067
Sr 0.364 0.727 0.315
Zn 0.662 0.324 0.326
Al 0.272 0.545 0.933
Al 0.905 0.810 0.579
Sr 0.636 0.273 0.685
Sr 0.000 0.000 0.000
Zn 0.338 0.676 0.674
Al 0.095 0.190 0.421

Results
Energy relative to the elements: -216 meV per atom
SG: No. 12
└──

The combination of these capabilities forms the basis for the analyses of diverse biospecimen sample matrices ranging from cells, tissues, and biofluids to advanced systems such as organ-on-chip microfluidics and other 3-dimensional cell culture devices.

Further, the CIT provides several routine and advanced services that can be tailored to the goals of individual research projects. If needed, new workflows can be established for method development, targeted biomolecule measurement acquisition, and/or metabolite validation.


To provide innovative and tailored solutions to analytical challenges using cutting-edge instrumentation and methodologies for academia, government, and industry.

┌──
A relaxed Nd5ThTl6 crystal, computed with GGA-PBE.

Results
Energy of formation (eV per formula unit): -4.03
Total magnetization (Bohr magnetons per cell): 0.00

Unit cell a=5.5402 b=16.6413 c=7.7435 alpha=90.00 beta=90.00 gamma=90.00
Last column: nearest neighbours and their distance in Å.
Space group Cmmm (No. 65)
Inequivalent atoms, fractional coordinates:
Nd 0.0000 0.0000 0.0000  8 Tl 3.37-3.40
Nd 0.0000 0.3337 0.0000  8 Tl 3.36-3.37
Nd 0.0000 0.3347 0.5000  8 Tl 3.38-3.39
Th 0.0000 0.0000 0.5000  8 Tl 3.39-3.41
Tl 0.0000 0.1681 0.2489  7 Nd 3.36-3.40, 1 Th 3.41
Tl 0.0000 0.5000 0.2469  6 Nd 3.36-3.38, 2 Th 3.39

* * * * *

Record 1
A plane-wave DFT calculation with GGA-PBE was carried out for a relaxed Y2CrCdC crystal.

a = 5.067 Å, b = 5.067 Å, c = 3.925 Å
α = 90.00°, β = 90.00°, γ = 90.00°
Each line ends with the local moment (μB).
Positions (direct):
C  0.000  0.000  0.000  -0.14
Y  0.500  0.000  0.000  -0.04
Y  0.000  0.500  0.000  -0.04
Cr  0.000  0.000  0.500  2.45
Cd  0.500  0.500  0.500  -0.04

Properties
theoretical density = 5.8 g/cm3
total energy = -33.96 eV/cell
magnetization = 2.31 μB/f.u.
energy of formation = -5.851 kcal/mol of atoms



Record 2
A plane-wave DFT calculation with GGA-PBE was carried out for a relaxed LaSe3F crystal.

a = 5.905 Å, b = 5.905 Å, c = 5.905 Å
α = 90.00°, β = 90.00°, γ = 90.00°
Each line ends with the local moment (μB).
Positions (direct):
Se  0.000  0.500  0.000  0.68
Se  0.500  0.000  0.000  0.59
Se  0.000  0.000  0.500  0.82
La  0.000  0.000  0.000  -0.01
F  0.500  0.500  0.500  0.45

Properties
theoretical density = 3.2 g/cm3
total energy = -18.58 eV/cell
uncorrected formation energy = -0.265 eV/atom
magnetization = 4.00 μB/f.u.
└──


To transform human health by being a trusted leader in emerging omics approaches and setting the standard for quality research.

We enable innovative research using Untargeted Metabolomics Expertise (Hypothesis-Generating) Targeted Metabolomics Competencies (Hypothesis-Driven) High-Content Screening Microscopy Technology

The goal of metabolomics is to measure the complex collection of small molecule metabolites present within a fluid, cell, or tissue. Unlike an organism’s genome, metabolomic measurements are dynamic and thus the analysis results are context dependent. Consequently, either reproducible steady state or temporal changes associated with disease state, toxicant exposure, or drug administration can be identified.

Metabolite identifications are assigned based on high mass accuracy measurements, isotope distributions, tandem mass spectrometry (MS) fragmentation patterns, and comparisons with spectral libraries and standards. Data analysis results can reveal unique biochemical fingerprints of cellular processes or responses. For this reason, results can be exploited as a 1) discovery-based approach for generating novel hypotheses or 2) used for a better understanding of physiological processes mediated by genetic or environmental perturbations.


For routine applications the CIT offers the following services:

  • Consultation for assistance with experimental design, explanation of service levels, biostatistical evaluation (if needed)
  • Cost estimates for funding applications
  • Assistance with grant applications
  • Sample preparation and processing
  • Small molecule omics analyses (discovery and/or validation workflows)
  • Analysis of metabolites, amino acid panels, lipids, pathways
  • High-content, confocal screening microscopy
  • Data processing & interpretation (e.g., filtering “noise”, data mining/prioritization, basic and advanced statistical analyses, pathway interpretation, clarification of biol. mechanism)


We accommodate a broad-scale small molecule omics research, data analytics, and data mining with our extensive lineup of state-of-the-art mass spectrometry instrumentation and software.

In addition, our shared resource center offers a highly flexible, full-service tailored approach for a wide range of applications.  Our Center aims to guide you and your team to design the best fit-for-purpose experiment based on your hypothesis.

Together with the laboratory of Professor John A. McLean, the CIT is a Waters Center of Innovation Partner and Agilent Thought Leader.

For additional information regarding our capabilities and specialties, please review our peer-reviewed publications.


If you need results fast, jump-start the conversation by sending a project request via Vanderbilt’s iLab interface below. Sending a request in iLab helps us gather vital project information and allows us to get started more quickly.

Our team has over 30 years of combined experience in mass spectrometry, data analysis, and informatics pipelines. We look forward to collaborating with you.


To discuss your next small molecule omics research project, please request a consultation through iLab or contact us directly. We look forward to providing you with detailed information about the services we offer.


The CIT mass spectrometry shared resource is also committed to the training, education, and research for next generation scholars. Consequently, the Center participates in several outreach and training programs at Vanderbilt University, including: